== File ==
[1]
Material: Ca2In2Si
Method: DFT, PBE
State: relaxed

Cell lengths 7.3798, 7.3798, 4.9268 Å; angles 90.00, 90.00, 90.00 degrees
Space group P4/mbm (No. 127)
Unique sites:
Ca: 0.1709 0.3291 0.0000 (multiplicity 4)
In: 0.1389 0.6389 0.5000 (multiplicity 4)
Si: 0.0000 0.0000 0.5000 (multiplicity 2)


[2]
Material: CaIn3Si
Method: DFT, PBE
State: relaxed

Cell lengths 5.7767, 5.7767, 5.7767 Å; angles 90.00, 90.00, 90.00 degrees
Space group Pm-3m (No. 221)
Unique sites:
== Request ==
Your job: quote the lines further above from the one with "4.9268 Å;" to the one with "221)" verbatim.
== Done ==
Cell lengths 7.3798, 7.3798, 4.9268 Å; angles 90.00, 90.00, 90.00 degrees
Space group P4/mbm (No. 127)
Unique sites:
Ca: 0.1709 0.3291 0.0000 (multiplicity 4)
In: 0.1389 0.6389 0.5000 (multiplicity 4)
Si: 0.0000 0.0000 0.5000 (multiplicity 2)


[2]
Material: CaIn3Si
Method: DFT, PBE
State: relaxed

Cell lengths 5.7767, 5.7767, 5.7767 Å; angles 90.00, 90.00, 90.00 degrees
Space group Pm-3m (No. 221)